Dialects | Colloquial Arabic: Sample Comparisons of Dialects | Important Occasions


Levantine Arabic Dialects

English translation:

May God have mercy on them.
Response: May you live long. (M.S.)
Response: May you live long. (F.S.)
Response: May you live long. (P.)

English translation:
May God magnify your good deeds. (P.)
Response: My God bless you. (P.)

English translation:
May you live long. (M. S.) Response: And you. (M. S.)
May you live long. (F. S.) Response: And you. (F. S.)

Egyptian Arabic Dialects

English translation:
May you live long. (M. S.) Response: And you. (M. S.)
May you live long. (F. S.) Response: And you. (F. S.)

[Attached: calculated crystals]
+++
Computed, not measured: a relaxed TaAlP2SO12 crystal at the PBE level of DFT.

Values from the calculation:
MP2020-corrected energy   -8.065 eV/atom
E_tot   -0.5571 Ry/atom
Volume   13.7 A^3/atom
Formation energy   -2.774 eV per atom

abc: 8.543 8.577 22.027
angles: 89.79 90.00 119.87
Fractional positions:
S (0.654, 0.042, 0.084)
S (0.721, 0.708, 0.251)
S (0.321, 0.375, 0.418)
S (0.054, 0.375, 0.918)
S (0.387, 0.042, 0.584)
S (0.988, 0.708, 0.751)
O (0.363, 0.490, 0.362)
O (0.626, 0.491, 0.640)
O (0.303, 0.462, 0.760)
O (0.532, 0.824, 0.474)
O (0.978, 0.180, 0.592)
O (0.508, 0.375, 0.140)
O (0.804, 0.974, 0.694)
O (0.493, 0.129, 0.927)
O (0.629, 0.126, 0.138)
O (0.503, 0.640, 0.861)
O (0.356, 0.857, 0.861)
O (0.689, 0.524, 0.528)
O (0.170, 0.974, 0.194)
O (0.477, 0.180, 0.239)
O (0.701, 0.532, 0.242)
O (0.311, 0.847, 0.258)
O (0.160, 0.462, 0.260)
O (0.199, 0.158, 0.807)
O (0.826, 0.795, 0.593)
O (0.164, 0.459, 0.971)
O (0.030, 0.824, 0.696)
O (0.962, 0.792, 0.805)
O (0.809, 0.967, 0.406)
O (0.168, 0.190, 0.694)
O (0.485, 0.354, 0.425)
O (0.810, 0.847, 0.905)
O (0.034, 0.199, 0.909)
O (0.142, 0.633, 0.073)
O (0.536, 0.847, 0.758)
O (0.370, 0.514, 0.072)
O (0.203, 0.021, 0.592)
O (0.137, 0.640, 0.361)
O (0.704, 0.180, 0.739)
O (0.175, 0.708, 0.473)
O (0.492, 0.633, 0.573)
O (0.475, 0.300, 0.739)
O (0.644, 0.513, 0.925)
O (0.200, 0.042, 0.307)
O (0.158, 0.967, 0.906)
O (0.636, 0.129, 0.427)
O (0.834, 0.524, 0.028)
O (0.533, 0.708, 0.973)
O (0.842, 0.042, 0.807)
O (0.152, 0.688, 0.758)
O (0.959, 0.158, 0.307)
O (0.696, 0.157, 0.029)
O (0.869, 0.354, 0.925)
O (0.969, 0.795, 0.093)
O (0.023, 0.190, 0.194)
O (0.866, 0.491, 0.140)
O (0.164, 0.199, 0.409)
O (0.869, 0.513, 0.425)
O (0.292, 0.824, 0.974)
O (0.461, 0.157, 0.529)
O (0.498, 0.865, 0.075)
O (0.818, 0.021, 0.092)
O (0.368, 0.865, 0.575)
O (0.144, 0.514, 0.572)
O (0.497, 0.126, 0.638)
O (0.536, 0.688, 0.258)
O (0.470, 0.307, 0.028)
O (0.867, 0.375, 0.640)
O (0.825, 0.300, 0.239)
O (0.037, 0.847, 0.405)
+++

English translation:
God is Ever-living. Response: And grace is from God.

English translation:
Be strong. (M.S.) Response: Strength is from God.
Be strong. (F.S.) Response: Strength is from God.

### Attached: calculated crystals
Computed, not measured: a relaxed Nd2CoSi3 crystal at the PBE-GGA level of DFT.

Output
V = 20.0 Å³ per atom
ΔH_f (0 K) = -3.3 eV/f.u.
size of the total moment = 0.02 Bohr magnetons per cell

a = 4.0328 Å, b = 4.0328 Å, c = 8.5275 Å
α = 90.00°, β = 90.00°, γ = 120.00°
Element x y z (fractional)
Nd1 0.3333 0.6667 0.7533
Nd2 0.3333 0.6667 0.2467
Si1 0.0000 0.0000 0.0000
Si2 0.6667 0.3333 0.5000
Si3 0.0000 0.0000 0.5000
Co1 0.6667 0.3333 0.0000

=====

# 1
First-principles (PBE) data for a relaxed structure of Tl4SnI6, as listed in the Materials Project.

Structure (POSCAR):
```
Tl4SnI6
1.0
10.084 0.000 0.000
0.000 19.480 0.000
0.000 0.000 4.659
Tl Sn I
8 2 12
Direct
0.106 0.081 0.000
0.208 0.795 0.000
0.292 0.295 0.000
0.394 0.581 0.000
0.606 0.419 0.000
0.708 0.705 0.000
0.792 0.205 0.000
0.894 0.919 0.000
0.000 0.500 0.500
0.500 0.000 0.500
0.059 0.611 0.000
0.092 0.214 0.500
0.200 0.947 0.500
0.300 0.447 0.500
0.408 0.714 0.500
0.441 0.111 0.000
0.559 0.889 0.000
0.592 0.286 0.500
0.700 0.553 0.500
0.800 0.053 0.500
0.908 0.786 0.500
0.941 0.389 0.000
```

Computed properties:
- Space group: Pbam
- DFT formation energy: -0.829 eV per atom

=====

# 2
First-principles (PBE) data for a relaxed structure of TlSn2I5, as listed in the Materials Project.

Structure (POSCAR):
```
TlSn2I5
1.0
-4.438 4.438 7.909
4.438 -4.438 7.909
4.438 4.438 -7.909
Tl Sn I
2 4 10
Direct
0.250 0.250 0.000
0.750 0.750 0.000
0.167 0.667 0.834
0.333 0.167 0.500
0.667 0.833 0.500
0.833 0.333 0.166
0.000 0.000 0.000
0.024 0.203 0.500
0.203 0.703 0.178
0.297 0.476 0.500
0.476 0.976 0.178
0.500 0.500 0.000
0.524 0.024 0.822
0.703 0.524 0.500
0.797 0.297 0.822
0.976 0.797 0.500
```

Computed properties:
- Space group: I4/mcm
- DFT formation energy: -0.756 eV per atom

=====

# 3
First-principles (PBE) data for a relaxed structure of TlSnI3, as listed in the Materials Project.

Structure (POSCAR):
```
TlSnI3
1.0
2.324 -7.600 0.000
2.324 7.600 0.000
0.000 0.000 11.920
Tl Sn I
2 2 6
Direct
0.246 0.754 0.750
0.754 0.246 0.250
0.000 0.000 0.000
0.000 0.000 0.500
0.079 0.921 0.250
0.360 0.640 0.056
0.360 0.640 0.444
0.640 0.360 0.556
0.640 0.360 0.944
0.921 0.079 0.750
```

Computed properties:
- Space group: Cmcm
- DFT formation energy: -0.807 eV per atom

=====

# 4
First-principles (PBE) data for a relaxed structure of Sr2TlI5, as listed in the Materials Project.

Structure (POSCAR):
```
Sr2TlI5
1.0
10.053 0.000 0.000
0.000 9.140 0.000
-0.010 0.000 14.369
Sr Tl I
8 4 20
Direct
0.002 0.023 0.181
0.002 0.477 0.681
0.249 0.080 0.493
0.249 0.420 0.993
0.751 0.580 0.007
0.751 0.920 0.507
0.998 0.523 0.319
0.998 0.977 0.819
0.489 0.013 0.180
0.489 0.487 0.680
0.511 0.513 0.320
0.511 0.987 0.820
0.045 0.663 0.095
0.045 0.837 0.595
0.221 0.041 0.997
0.221 0.459 0.497
0.223 0.663 0.815
0.223 0.837 0.315
0.231 0.194 0.718
0.231 0.306 0.218
0.460 0.665 0.090
0.460 0.835 0.590
0.540 0.165 0.410
0.540 0.335 0.910
0.769 0.694 0.782
0.769 0.806 0.282
0.777 0.163 0.685
0.777 0.337 0.185
### Here the page continues

North African Arabic Dialects

English translation:
May God Bless You. (M.S.) Response: And you.
May God Bless You. (F.S.) Response: And you.

English translation:
May God magnify your good deeds.
Response: Glory be to the One Who Does Not Die.

English translation:
Rely on the Lord. (M.S.) Response: Strength is with Allah.
Rely on the Lord. (F.S.) Response: Strength is with Allah.

English translation:
May God magnify your good deeds. (P.)
Response: May God bless you. (P.)

English translation:
May you live long. (M. S.) Response: And you. (M. S.)
May you live long. (F. S.) Response: And you. (F. S.)
May you live long. (M. P.) Response: And you. (M. P.)
May you live long. (F. P.) Response: And you. (F. P.)

English translation:
Verily we are from God and we shall return to Him.
Response: Verily we are from God and we shall return to Him.

English translation:
Eternity is for God.
Response: Verily we are from God and we shall return to Him.

English translation:
God is Ever-living. Response: God is immortal.

English translation:
May God magnify your good deeds. (M. S.)
Response: May God bless you. (M. S.)

May God magnify your good deeds. (F. S.)
Response: May God bless you. (F. S.)

May God magnify your good deeds. (P.)
Response: May God bless you. (P.)

English translation:
May God bless you. (M.S.) Response: May you be well.
May God bless you. (F.S.) Response: May you be well.
May God bless you. (P.) Response: May you be well.

English translation:
May God grant you patience. (M.S.) Response: May you be well.
May God grant you patience. (F.S.) Response: May you be well.
May God grant you patience. (P.) Response: May you be well.

English translation:
Verily we are from God and we shall return to Him.
Response: Verily we are from God and we shall return to Him.

English translation:
May God have mercy on him. Response: May you live! (S.)
May God have mercy on her. Response: May you live! (S.)

English translation:
We are all from Allah and to Him we shall return.

English translation:
May you live longer than him. (M.S.)
May you live longer than her. (F.S.)
May you live longer than them. (P.)

Other Dialects

English translation:
May God magnify your good deeds. (M. S.) Response: And yours. (M. S.)
May God magnify your good deeds. (F. S.) Response: And yours. (F. S.)

English translation:
May you live long. (M. S.) Response: And you. (M. S.)
May you live long. (F. S.) Response: And you. (F. S.)

English translation:
Be strong. (M.S.) Response: Thank you. (M.S.)
Be strong. (F.S.) Response: Thank you. (F.S.)
Be strong. (P.) Response: Thank you. (P.)

English translation:
May God magnify your good deeds. (M. S.) Response: And yours. (M. S.)
May God magnify your good deeds. (F. S.) Response: And yours. (F. S.)
May God magnify your good deeds. (P.) Response: And yours. (P.)

English translation:
Verily we are from God and we shall return to Him.

English translation:
God is Ever-living.